Tuesday, December 29, 2009

2010...I'm Freaking Out, Man!

I am a little freaked out about the year 2010. It sounds like I am living in the future with floating hovercrafts and teleportation. Am I the only person who remembers looking forward to singing the Prince song "Party Like it's 1999" on New Year's eve? And how when that song came out in 1982 and I was graduating high school, the year 1999 seemed so far away? Blows my mind to think of 2010.

I think the freaked out part is that I am pretty much MIDDLE AGED now at 45. The reality is that I would be a blessed woman to live to be 90. My life is half over. Which means that when the calendar says 2045 or so I will most likely be dead or pretty close to it. And the world will still go on...and I will have been a extremely small, completely forgotton blip on the surface.

Wow. Have I depressed you enough yet?

This the time of year to take emotional and physical inventory. (You might want to go on to another blog...this might not be pretty)

GREAT Things:

I have a great job with a nice steady income I can live comfortably just about anywhere
I have three wonderful daughters who love me
I live in a nice, clean, attractive apartment
I am a relatively healthy person
I have good friends I can rely on
My mind is still sharp and works like I want it to
According to statistics, I am in the top 1% of the world for my quality of life
I have a father who loves me beyond all reason
I have a mother who loves me without a doubt
I have a sister who would be there for me in a minute
I have hobbies and interests and things that make me happy
I live in one of the most active, cultured city in the world
I have health insurance, and I can afford to have elective surgery to improve the quality of my life.
I am able to, ahem, get my needs met, if you know what I mean
I have a wonderful roommate that I am happy to live with everyday

Not So Great Things:

I am scheduled to have knee replacement surgery in February and I am scared to death
My blood pressure has become a little high (141/90) and I need to take it seriously
I need to lose weight
I do not have romantic love in my life
I have to take care of some legal stuff this year that I wish would just go away and take care of itself

Making this list is actually pretty helpful. I can see at a glance that I have WAY MORE great things than no so great. Wow. Here is wishing for another banner year then!

Thursday, December 24, 2009

Where in the **Bleep** Did December go?

I think I fell in a hole or something. Because the last time I checked, it was the beginning of the month. And now, it is Christmas eve.

Here are the top Christmas Memories I have had in my life:

Christmas 1983: Rota, Spain. Mike (my late husband) and I just moved into a new apartment a few weeks prior. It was our first Christmas together. We didn't have a lot of money, but we were extremely happy. We walked through the streets that night, and found a store that sold radios. We both really wanted to listen to Christmas music. So we made what we called our "First Major Purchase" together and bought a transistor radio. We bought a bottle of Asti Spumante Champagne, and headed back to our new apartment. We had an old fashioned bathtub, large with claw feet. We filled it with water, got naked, and sat together, listening to the scratchy Christmas music on the radio, drinking the Asti right from the bottle (we did not own glasses yet) and passed it back and forth between us. We sang the songs out loud, and got a little drunk. It was the happiest Christmas I ever spent. Bar none. God Bless you, Michael. I loved you very much.

Christmas 1993?: This was the year my grandmother had open heart surgery a week prior to Christmas. Dard and I packed his red truck with our Christmas and we drove 6 hours on Christmas eve day to my grandmother's trailer in Clear Lake. She had just been discharged that day for home. The kids were cranky, Grace threw up on the way, and I was an emotional mess...but when I walked into her bedroom and saw her face and knew she was still alive, I was so happy to be there to celebrate the holiday with her. I have no memory of anything else that day, but seeing her, looking like shit, but still alive was enough for me. God Bless you, Dard, for helping me have that moment. I loved you very much.

Christmas 2007: This was the year I spent the holiday with Dane. After my separation and marital issues, and feeling so lonely and dispairing that anyone would ever love me again, having this time with Dane, his family and later my daughter Jessica was exactly what I needed to realize that life would go on. The snowy, slushy weather was beautiful to me, and Christmas day dinner at the Dim Sum restaurant in Seattle Washington was sufficiently different so that I did not have to think about the past. (And the night before at the Silver Cloud Inn on water in Tacoma was not so bad either....) Waking up Christmas morning, and bathing in the large bathtub with the glass windows all around was a memory for a lifetime. God Bless you, Dane, for being there when I needed you. I loved you very much.

This is my first Christmas since I was 18 and left for the Navy that I do not have any family around me on the holiday. How do I feel about this?

1. I feel relieved: For many years, I had anxiety and stress around Christmas. That horrible feeling that you will never please everyone...especially yourself. And I ended up being tired and cranky a lot. So, this year, I don't have to do that.

2. I feel guilty: There is a little part of me that feels bad that I will not be there to hug on my grandson, or be with my youngest as she celebrates her first adult christmas on her own. Or with my Father, who seems to be slowly declining in his late 60's....but this is a very small emotion...not hardly worth mentioning

3. I feel nostalgic: Christmas is chock full of memories. And songs that make me remember the great times I had...and resurrect the fear that I may never have them again. That the joy and the love that I experienced with my ex-husband and children is over and gone...forever. The song that I can't play right now that keeps running through my head is this one:

It's coming on Christmas
They're cutting down trees
They're putting up reindeer
And singing songs of joy and peace
Oh, I wish I had a river
I could skate away on
I wish I had a river so long
I would teach my feet to fly
Oh I wish I had a river
I could skate away on...

4. I feel nothing. I do not feel particularly Christmassy. Seriously. I really don't care much about this holiday. I sent gifts to my kids because I know that they still have the spirit, but I feel pretty blase about the whole thing. And that is okay.

I think that is pretty much my whole emotional inventory.

Monday, December 7, 2009

A Very Good Time

Last night, I had a very surprisingly great date with Michael. Michael is the guy I met at the Front Page bar when I was on the date with Anthony and I asked for his number. (Yes I was very bold, but he really was cute and I couldn't stop myself.) Told him he was "adorable". He seemed happily surprised and flattered, and gave me his number and took mine. That next day he called me, and we chatted about each other's lives. My assessment was that he was in a huge transition phase (ended a relationship 11 months ago, but she just had his one and only baby 12 months ago) and he is heartbroken to be away from his child. No car...no discernable life accomplishments. He is living in his brother's house, and working two okay jobs.) All of this smelled like trouble to me, so I told him let's just be friends, no pressure. He said he understood.

So over a week later, he calls me a few more times just to talk. Friendly...and fun. And I love his sexy voice. And then he invites me to come watch football with him and his friends. I hate football and I am honest with him about my complete lack of interest. But I tell him I will come after halftime and get to know him in his natural habitat. He laughs.

### Inserted here: calculated crystals
/*
(1)
Entry from the Alexandria database: an optimized crystal structure of ZrReSe2 (PBE).

Summary:
Space-group type: Amm2, No. 38
Uncorrected formation energy (eV/atom): -0.2587
Energy relative to the lowest polymorph listed for this composition (meV per atom): 161.9
Density of states at the Fermi level (states/eV/f.u.): 2.5

Structure (POSCAR):
```
ZrReSe2
1.0
-1.539 3.423 1.991
-2.700 -0.178 -1.781
-4.138 -4.033 3.735
Se Re Zr
2 1 1
Cartesian
-2.594 0.267 2.068 Se
-6.032 -3.753 1.790 Se
-6.317 -1.357 1.983 Re
-3.691 -2.263 1.037 Zr
```


(2)
Entry from the Alexandria database: an optimized crystal structure of Nd3DyTh2S6 (PBE).

Summary:
Space-group type: C2/m, No. 12
Uncorrected formation energy (eV/atom): -1.9438
Density of states at the Fermi level (states/eV/f.u.): 6.9

Structure (POSCAR):
```
Nd3DyTh2S6
1.0
-6.707 0.771 1.766
1.785 -0.513 -6.726
0.972 -6.637 1.975
Nd Dy S Th
3 1 6 2
Cartesian
-1.975 -3.190 -1.492 Nd
0.846 -3.616 -4.313 Nd
-4.795 -2.764 1.329 Nd
0.000 0.000 0.000 Dy
-0.470 -4.947 0.278 S
-4.370 -4.616 -0.867 S
-1.597 -5.036 -3.641 S
-2.353 -1.344 0.656 S
0.421 -1.763 -2.118 S
-3.479 -1.432 -3.262 S
-3.876 0.343 -1.065 Th
-1.046 -0.085 -3.895 Th
```


(3)
Entry from the Alexandria database: an optimized crystal structure of Ho2In (PBE).

Summary:
Space-group type: Pnma, No. 62
Energy of formation from the pure elements (meV/atom): -356
Density of states at the Fermi level (states/eV/f.u.): 2.7

Structure (POSCAR):
```
Ho2In
1.0
-4.020 0.800 -3.124
-1.346 -6.558 0.053
-5.793 1.252 7.773
Ho In
8 4
Cartesian
-8.869 -4.738 3.823 Ho
-3.387 -2.956 1.476 Ho
-6.613 -4.207 1.056 Ho
-7.324 -3.124 6.498 Ho
-2.289 0.231 0.879 Ho
-7.771 -1.551 3.226 Ho
-3.835 -1.383 -1.796 Ho
-4.545 -0.300 3.645 Ho
-6.453 -0.060 6.162 In
-5.675 -0.812 0.717 In
-5.484 -3.694 3.984 In
-4.705 -4.446 -1.460 In
```


(4)
Entry from the Alexandria database: an optimized crystal structure of Cs3InP2 (PBE).

Summary:
Space-group type: P-1, No. 2
Energy of formation from the pure elements (meV/atom): -346

Structure (POSCAR):
```
Cs3InP2
1.0
-5.914 7.871 -0.703
-12.005 -3.984 -3.203
-6.502 -0.649 14.704
Cs P In
24 16 8
Cartesian
-11.800 1.319 10.776 Cs
-14.494 -2.341 0.400 Cs
-8.052 -0.202 9.062 Cs
-6.661 1.005 4.292 Cs
-10.578 5.977 6.419 Cs
-12.622 1.918 0.023 Cs
-16.999 -3.668 10.600 Cs
-10.364 -1.174 -0.590 Cs
-16.908 1.084 11.035 Cs
-7.287 -1.728 1.416 Cs
-10.137 4.317 2.465 Cs
-17.135 4.965 9.383 Cs
-19.502 -1.251 8.505 Cs
-17.761 2.232 6.506 Cs
-13.658 1.375 4.231 Cs
-7.513 2.154 -0.236 Cs
-4.920 4.488 2.294 Cs
-16.369 3.440 1.736 Cs
-10.764 1.863 6.568 Cs
-9.928 5.578 10.399 Cs
-14.285 -1.079 8.334 Cs
-7.423 6.905 0.199 Cs
-14.057 4.412 11.388 Cs
-13.843 -2.739 4.379 Cs
-11.153 3.732 13.338 P
-16.674 -3.078 6.492 P
-15.185 3.494 -1.659 P
-16.483 -0.272 2.812 P
-10.924 -1.885 6.730 P
-9.237 -0.256 12.458 P
-10.692 4.487 -1.503 P
-13.730 -1.250 12.301 P
-13.498 5.123 4.068 P
-7.748 6.316 4.307 P
-19.680 2.592 9.599 P
-4.742 0.646 1.199 P
*/

I arrive just exactly at halftime. His friends are very nice. We talk and laugh easily. He is extremely attractive to me. He and I are invited to go play Wii with some of what I thought were his friends...(but later I find out he just met those two gals that night!) The night is fun, but one of the girls, a younger, slightly thinner version of me hits on him big time. He seems to be oblivious, but later he tells me he clued in towards the end, but was not interested. We leave at about 930, and I offer to drive him home. He refuses and tells me he has a friend coming to get him. So we kiss (wow---EXCELLENT KISSES CAN I ADD?) So I leave, and go home. I get home about 10:00 and feel very odd about the evening. I know he liked me, but I had a wierd feeling towards the end. LIke he didn't find me appealing.

I change into my pajamas and as I am trying to talk to Nick about it and sort it out, my phone rings. It is him. He tells me his friend didn't show up and he was stranded for a while until the next bus comes to take him to the metro. He tells me he had a great time and he didn't want to stop kissing me. And says that I come and drive him to the metro, he promises to kiss me more.

I laugh and tell him of course, I will come get you. I get redressed. And I drive back to the place I left him.

Wednesday, December 2, 2009

New TV and Living with Nick...

Okay. It is official. I am part of the HDTV clan now. I finally broke down and bought myself not one, but two LCD TV's for my apartment.
Make: Apex
Model: 32" and 40" models...(not sure of number)
Place of Purchase: Target
Cost: 32" = $279.00 40" = $445.00 on Black Friday.
I really liked the 40" I bought last week, and Nick called me tonight with the news of a clearance sale on the last two 32" models. So I snapped it up. Now I will have good TV in the bedroom too! Hooray for me.
Because there are times in my life living with Nick that sitting in the living room area is not preferable. When is that, you ask? Well....
My Roommate Nick is gay. Actively gay...with the emphasis on active. And he is extremely open with me about his world, his love life and the LGBT community..(or at least the part he lives in...LOL) And it has been a fascinating, amusing and down right odd experience.
In order to get the full picture, you need to know a few things about gay men because many heterosexuals (or breeders, as they call us) think that there is only two kinds of gay men...the "man" gay and the "woman" gay. There are many different types and sub types of gay men...truly a full color of the rainbow. Just like in the hetero-world. First, there are three basic categories...Top, bottoms or Versatiles. You can read more about this in Scientific America article here: http://www.scientificamerican.com/article.cfm?id=gay-male-sex-roles Nick is a TOP with all capitals. And then within these three basic categories, there are the different sort of lifestyles...there are Bears, cubs, twinks, otters, leather boys, etc. and within those categories are the different race and culture groups. Yes, there is much to choose from. I have often teased Nick and told him that I if I die and am reincarnated, I want to come back as a gay male. They seem to have all the breaks. They usually have a higher income, are better educated and don't have to worry about pesky children getting in their way. And they get WAY MORE sex than the rest of us...trust me.
Anyway, Nick is a Dominant Top, with a love for leather, but refuses to call himself a bear or a cub. He prefers small latin bottom men, but occasionally strays from his type. In regards to Nick's appearance, it is not always apparent to others that he is gay. He is tall (6 feet tall) and large (size 38 pants...32 inseam) weight about 240 pounds. He has thinning brown hair, so he shaves his head most of the time completely bald. He has a dark brown goatee and mustache combo. He has piercing blue eyes that are icy blue instead of baby blue. Women are constantly attracted to him...he has a rugged large man look with the cleanliness and excellent fashion sense from being gay. According to Nick, he is not considered good looking in his world. Gay men, for the most part, like thin men, preferably athlethically trim or muscled. Fat gay men have a hard time. And it appears to be a young world (isn't it always?) and older gay men are not thought of highly. And Nick is pushing 30, with is almost ancient to him.
But still, Nick is a busy boy. Nick has his "visitors" 2 or 3 times a week, on average. (It is difficult for me to say exactly, because he works nights and I work days during the week...he may have more visitors when I am work and I would not know it) Most of the time, the visitors stay less than an hour. And many of them arrive and leave nameless to me...just a text line on my telephone "I have a visitor coming over in 30 minutes" and then "The visitors left". This is one thing I have insisted on...I must know if there is a stranger in my apartment. Even if I am sleeping, I want the page so I don't get startled or upset if I get up to get something to drink. And the few times I have had a "visitor" I give him the same courtesy. In the 9 months we have lived together, I would imagine about a 100 men have visited Nick. Wow. I just figured that out and wrote than here, and it still looks shocking to me. ONE HUNDRED. Holy Shit.
Anyways, sometimes it is just plain awkward to be sitting in my recliner in the living room, watching TV and knitting, when one of these short timer visitors arrive. The few times I stayed out there, it is almost funny to see the look on their face when they walk by and see "Mom" sitting there staring at them. I smile and say hello, and Nick always tells them who I am (This is my roommate) but doesn't always tell me who they are. I find out later that it is because he doesn't know their name either. They walk into Nick's room, and shut the door. A moment later I hear the Nick's music come on sort of loud (usually electronic dance music...his favorite CD to play during those moments is Chilling at the Playboy Mansion, which makes me laugh out loud to think of the irony) and then I ignore the situation, and continue to watch my show. In a shockingly short period of time, his door opens, and Nick exits first. A few moments later, the younger gentleman exits, head down, not making eye contact for his walk of shame...LOL. Somewhat amusing for me, but also sort of awkward. So if I can, I usually head for my room if I get the page when I am home.
Occasionally, Nick has "boyfriends" or real what I would call dates. These are nice young men who all seem so quiet who Nick invites over to watch a DVD or to listen to music. These dates are much longer, most of an afternoon or sometimes overnight. Nick never entertains in the main living area. Only once, when he had a longer relationship with a man named JoJo did he bring JoJo out of the bedroom and allow him to interact with me. That was nice, actually. I liked getting to know JoJo. But I missed him when Nick broke up with him. So maybe it is best if I don't get attached.
All of this is the reason why I am glad to have a better TV in my room. As you can see, I need it.